2023 Grants Challenge

Next to the piece, the page also holds molecular data =
=====
No. 1
Entry from OMol25: C4H8NO2 as an isolated structure at a distorted geometry (wB97M-V/def2-TZVPD).

The geometry in XYZ format:
```
15
Properties=species:S:1:pos:R:3:nbo_charge:R:1
C -0.43 0.76 0.70 -0.267
C -1.49 0.20 -0.18 -0.569
C -2.59 -0.50 0.18 0.276
O -3.55 -0.81 -0.60 -0.779
N 0.89 0.72 -0.01 -0.451
C 1.44 -0.71 -0.07 0.321
O 2.50 -1.42 -0.53 -0.636
H -0.41 0.04 1.57 0.165
H -0.65 1.74 1.19 0.198
H 3.20 1.22 -1.17 -0.012
H -1.46 0.44 -1.25 0.184
H -2.56 -1.01 1.24 0.047
H 0.73 -0.11 -0.93 0.377
H 3.58 0.79 -0.68 0.009
H 0.80 -1.34 0.54 0.136
```

Properties
Gap between HOMO and LUMO = 6.491 eV
Calculated total energy = -362.27195 a.u.
Relative energy (zero: lowest compared OMol25 entry of this formula, charge and spin) = 662.4 kJ/mol
HOMO = -2.893 eV
E_LUMO = 3.6 eV
Net charge = -1

---

No. 2
Entry from OMol25: C4H2S as an isolated structure at a distorted geometry (wB97M-V/def2-TZVPD).

The geometry in XYZ format:
```
7
Properties=species:S:1:pos:R:3:nbo_charge:R:1
C 0.17 1.39 0.00 -0.641
C -1.04 -0.92 0.00 -0.465
C -0.18 0.06 0.00 0.264
C -0.99 2.04 0.00 0.173
S -2.55 -0.08 0.00 0.134
H 1.17 1.77 0.01 0.283
H -0.92 -1.98 -0.01 0.251
```

Properties
Gap between HOMO and LUMO = 7.117 eV
Calculated total energy = -551.56004 a.u.
Relative energy (zero: lowest compared OMol25 entry of this formula, charge and spin) = 330.8 kJ/mol
HOMO = -8.555 eV
E_LUMO = -1.4 eV
Net charge = 0

---

No. 3
Entry from OMol25: one molecule with the formula C3H6BClO3 (wB97M-V/def2-TZVPD).

The geometry in XYZ format:
```
14
Properties=species:S:1:pos:R:3:nbo_charge:R:1
B -2.04 -0.44 -0.19 1.070
C -0.59 0.13 -0.01 -0.559
C 0.55 -0.54 0.12 0.023
C 1.91 0.09 0.27 -0.108
O -2.25 -1.77 -0.27 -0.877
O -3.03 0.48 -0.25 -0.880
O 2.64 -0.14 -0.91 -0.710
Cl 0.61 -2.25 0.11 0.022
H -0.51 1.21 0.00 0.226
H 1.79 1.17 0.44 0.172
H 2.42 -0.35 1.14 0.178
H -3.15 -2.07 -0.38 0.487
H -3.93 0.16 -0.36 0.485
H 3.56 0.11 -0.77 0.472
```

Properties
Gap between HOMO and LUMO = 9.726 eV
Calculated total energy = -828.76156 a.u.
Relative energy (zero: lowest compared OMol25 entry of this formula, charge and spin) = 0.0 kJ/mol
HOMO = -9.420 eV
E_LUMO = 0.3 eV
Net charge = 0
SMILES = OC/C(Cl)=C/B(O)O

---

No. 4
Entry from OMol25: a 3-piece molecular cluster, C11H28N2O7Si overall (wB97M-V/def2-TZVPD).

The geometry in XYZ format:
```
49
Properties=species:S:1:pos:R:3:nbo_charge:R:1
C 3.06 -0.58 0.88 -0.242
O 3.15 -1.98 0.71 -0.543
C 2.05 -2.70 1.22 -0.075
C 0.91 -2.86 0.17 0.082
C -0.47 -2.76 0.85 -0.451
C -1.62 -2.19 0.00 -0.054
O -2.35 -1.23 0.74 -0.886
Si -2.08 0.41 0.55 1.903
C -0.53 0.81 -0.40 -1.159
C -1.88 1.14 2.26 -1.139
C -3.56 1.21 -0.25 -1.143
O 1.03 -1.90 -0.84 -0.558
C 1.84 -2.27 -1.95 -0.241
H 2.12 -0.28 1.35 0.166
H 3.91 -0.21 1.46 0.172
H 3.08 -0.09 -0.10 0.183
H 2.42 -3.68 1.51 0.187
H 1.67 -2.22 2.12 0.159
H 1.01 -3.87 -0.25 0.164
H -0.75 -3.76 1.17 0.213
H -0.42 -2.16 1.75 0.212
H -2.32 -3.00 -0.24 0.174
H -1.26 -1.80 -0.95 0.191
H -0.52 1.90 -0.54 0.239
=====

Electro-Bici: Mobility Justice and Access to Public Transit

The Electro-Bici program is a library of 100 pedal-assist electric bikes available for rent to residents throughout the Northeast San Fernando Valley. Bikes are available through long-term rentals of 6 - 12 months, provided free of charge to low-income participants following training on the use of the bike, proper storage, and charging. Community members can use the e-bikes for transportation to and from work, to access public transit hubs, to attend school and youth programming, and for personal recreation.


What is the primary issue area that your application will impact?

Public Transit

In which areas of Los Angeles will you be directly working?

San Fernando Valley

In what stage of innovation is this project, program, or initiative?

Expand existing project, program, or initiative

What is your understanding of the issue that you are seeking to address?

The Electro-Bici program addresses two pressing issues in the Northeast San Fernando Valley: access to clean mobility options and economic recovery from COVID-19. The Northeast San Fernando Valley community suffers a lack of access to clean mobility options, close proximity to toxic facilities, and a need for diverse mobility options to access jobs. The COVID pandemic has magnified these inequities. Pacoima Beautiful led a transportation needs assessment in June 2020 that surveyed over 600 local residents, finding that most community members are dependent on public transport to access their jobs. It also identified a desire for more options for micro-mobility options in the community, as residents noticed the introduction of electric car and bike share programs that have been introduced in other parts of Los Angeles and used for recreation. There is a real interest in having innovative, safe, and affordable mobility options accessible to the Northeast San Fernando Valley community.?

Describe the project, program, or initiative this grant will support to address the issue.

Electro-Bici is offered to low-income participants, who are provided bicycles free of charge following training on their use, proper storage, bike safety, and charging of the bikes. Participants are also educated on best practices from bike libraries across the nation, mobility justice vision and values, small business development, and financial literacy. As the program grows, participation has been opened more broadly with an emphasis and priority for low-income members. Potential uses for the bikes include: -Long-term rental (6 to 12 months) for personal and professional use -E-Bikes (and especially E-Cargo Bikes) in workforce development programs -Youth programming activities -Bike and E-bike safety classes -Group rides for recreation and exploration of the community It is expected that participants will use the bikes for a range of purposes, from commuting to school or work, utilizing for delivery services, and completing daily errands. Initial participants check in with the project team regularly, and usage is tracked to inform program design. Bikes are stored at Pacoima Beautiful and are distributed at our facilities. In future years of the program, a more comprehensive network of community library sites will be developed, including the addition of charging stations throughout the community.

Describe how Los Angeles County will be different if your work is successful.

The primary goal of Electro-Bici is to provide an e-bike library that supports economic development in the NE San Fernando Valley. Participants serve as program ambassadors, promoting zero-emission micro-mobility as well as improving street safety. The project helps normalize electric bicycles in the streets of the Northeast San Fernando Valley opening the potential for more micro-mobility investment in the community.? Electro-Bici provides a transportation option that does not emit any contaminants into the air, and the use of 100 bicycles removes personal cars from the road. The success of this program will expand the range, accessibility, and comfort of zero-emissions micro-mobility options for local residents and help shift away from a heavily car-centric transportation culture. The program demonstrates the need for expanding bike infrastructure in an area where it is lacking and is at risk of losing existing bike infrastructure due to new transportation development projects.

What evidence do you have that this project, program, or initiative is or will be successful, and how will you define and measure success?

The Electro-Bici program is currently in a pilot phase, with an initial fleet of 100 bicycles, and about one-third have been rented by local residents. Thus far, the primary challenge we are seeing is the need for cohort members to swap out batteries for their bikes, as due to proprietary components on the bikes that do not allow for at-home battery charging. We will measure success based on the number of rentals, length of rentals, and type of activities the bicycles are used for. We will also track challenges with the program so that we can continue to build infrastructure and address potential roadblocks to its expansion. Periodically, Pacoima Beautiful organizes group rides and events to build the visibility of the program and provide a space for participants to build familiarity and comfort with riding their bikes in this community. Our target audience for the program is working-age adults (aged 18-55) who live within the target area of the Northeast San Fernando Valley.

Approximately how many people will be impacted by this project, program, or initiative?

Direct Impact: 100

Indirect Impact: 10,000